God’s Devil - Points to Ponder, Part 11

_Crystal structures, kept here for reference_
____________
No. 1
Computed, not measured: crystalline LiAc2Pb2Au4 at its relaxed geometry at the PBE level of DFT.

Cell: 6.775 6.775 6.775 Å, 116.81 116.81 95.62°
Atoms (fractional coordinates):
Li1 0.000 0.000 0.000
Ac1 0.250 0.750 0.500
Ac2 0.750 0.250 0.500
Pb1 0.300 0.300 0.000
Pb2 0.700 0.700 0.000
Au1 0.257 0.257 0.514
Au2 0.257 0.743 0.000
Au3 0.743 0.257 0.000
Au4 0.743 0.743 0.486

Values from the calculation:
**E_form**: -450 kJ/mol of formula units
**M_tot**: 0.00 μB/cell
**Symmetry**: I4/mmm, No. 139

No. 2
Computed, not measured: crystalline Li2AcPbAu5 at its relaxed geometry at the PBE level of DFT.

Cell: 4.953 4.953 8.002 Å, 90.00 90.00 90.00°
Atoms (fractional coordinates):
Li1 0.000 0.000 0.167
Li2 0.000 0.000 0.833
Ac1 0.500 0.500 0.500
Pb1 0.500 0.500 0.000
Au1 0.000 0.000 0.500
Au2 0.000 0.500 0.237
Au3 0.000 0.500 0.763
Au4 0.500 0.000 0.237
Au5 0.500 0.000 0.763

Values from the calculation:
**E_form**: -365 kJ/mol of formula units
**M_tot**: 0.00 μB/cell
**Symmetry**: P4/mmm, No. 123

No. 3
Computed, not measured: crystalline Li4Ac2Pd3Au at its relaxed geometry at the PBE level of DFT.

Cell: 4.399 4.399 10.657 Å, 90.00 90.00 90.00°
Atoms (fractional coordinates):
Li1 0.000 0.000 0.000
Li2 0.000 0.500 0.387
Li3 0.500 0.000 0.613
Li4 0.500 0.500 0.000
Ac1 0.000 0.500 0.740
Ac2 0.500 0.000 0.260
Pd1 0.000 0.000 0.500
Pd2 0.000 0.500 0.148
Pd3 0.500 0.000 0.852
Au1 0.500 0.500 0.500

Values from the calculation:
**E_form**: -515 kJ/mol of formula units
**M_tot**: 0.00 μB/cell
**Symmetry**: P-4m2, No. 115

No. 4
Computed, not measured: crystalline LiAcPd3Au at its relaxed geometry at the PBE level of DFT.

Cell: 7.268 7.268 6.085 Å, 90.00 90.00 132.11°
Atoms (fractional coordinates):
Li1 0.086 0.914 0.750
Li2 0.914 0.086 0.250
Ac1 0.318 0.682 0.750
Ac2 0.682 0.318 0.250
Pd1 0.140 0.860 0.250
Pd2 0.267 0.267 0.000
Pd3 0.267 0.267 0.500
Pd4 0.733 0.733 0.000
Pd5 0.733 0.733 0.500
Pd6 0.860 0.140 0.750
Au1 0.348 0.652 0.250
Au2 0.652 0.348 0.750

Values from the calculation:
**E_form**: -306 kJ/mol of formula units
**M_tot**: 0.00 μB/cell
**Symmetry**: Cmcm, No. 63

No. 5
Computed, not measured: crystalline LiAc2Pd6Au at its relaxed geometry at the PBE level of DFT.

Cell: 6.711 6.711 6.712 Å, 119.92 119.92 90.04°
Atoms (fractional coordinates):
Li1 0.000 0.000 0.000
Ac1 0.250 0.750 0.500
Ac2 0.750 0.250 0.500
Pd1 0.228 0.228 0.000
Pd2 0.228 0.228 0.457
Pd3 0.228 0.772 0.000
Pd4 0.772 0.228 0.000
Pd5 0.772 0.772 0.000
Pd6 0.772 0.772 0.543
Au1 0.500 0.500 0.000

Values from the calculation:
**E_form**: -341 kJ/mol of formula units
**M_tot**: 0.00 μB/cell
**Symmetry**: C2/m, No. 12

No. 6
Computed, not measured: crystalline Li2Ac3Pm2Au4 at its relaxed geometry at the PBE level of DFT.

Cell: 4.876 4.876 15.349 Å, 90.00 90.00 120.00°
Atoms (fractional coordinates):
Li1 0.333 0.667 0.131
Li2 0.667 0.333 0.869
Ac1 0.000 0.000 0.000
Ac2 0.000 0.000 0.251
Ac3 0.000 0.000 0.749
Pm1 0.333 0.667 0.574
Pm2 0.667 0.333 0.426
Au1 0.333 0.667 0.366
____________


Death is not a natural part of the life that was originally granted by God. It was only by the sin of man, under Satan's tempting, that death arrived. Spiritual death was immediate and physical death followed by aging. Before sin, there was no suffering or sickness, and no death. Death became “the wages of sin” (Rom 6:23) and it shall be the last of the enemies defeated and abolished (Rev 20:14).

Hell is mobilized around the death of man, where the souls of the lost are fully given over to it. However, death is also the great occasion of God's divine mercy. The obedience of Jesus has transformed the curse of death into a blessing (Mark 14:33-34). Man is alone and poor at the moment of death. He has no more future in front of him, except one coming in eternity. The decisions that count can be delayed no longer and it is at this moment that grace works it's greatest miracle. Heaven and hell face each other in that moment for the final duel for that one soul.

Death is the door to eternity. Whether it will be an eternity of blessing or curse will depend on spiritual decisions made before. There is the death of the one who dies in the Lord, which is filled with peace and hope, and there is the death of one who has lived a lifetime without the Lord, which opens up eternal darkness and regret. Whoever has behaved as if God did not exist can be saved in the final moment of life only by a miracle of undeserved mercy at it's finest.

_Data records from another source follow_
********
[1]
DFT (PBE-GGA) results for a geometry-optimized LaRu2 structure.

Geometry as CIF:
```
data_LaRu2
_cell_length_a 2.9641
_cell_length_b 7.9098
_cell_length_c 4.6703
_cell_angle_alpha 90.00
_cell_angle_beta 90.00
_cell_angle_gamma 90.00
_symmetry_space_group_name_H-M 'P n n m'
_symmetry_Int_Tables_number 58
loop_
_symmetry_equiv_pos_as_xyz
'x,y,z'
'-x,-y,-z'
'-x,-y,z'
'x,y,-z'
'x+1/2,-y+1/2,-z+1/2'
'-x+1/2,y+1/2,z+1/2'
'-x+1/2,y+1/2,-z+1/2'
'x+1/2,-y+1/2,z+1/2'
loop_
_atom_site_label
_atom_site_fract_x
_atom_site_fract_y
_atom_site_fract_z
_atom_site_occupancy
La1 0.0000 0.0000 0.0000 1
Ru1 0.2391 0.3448 0.0000 1
```

Properties
The value obtained for the energy of formation is 390 meV per atom.

[2]
DFT (PBE-GGA) results for a geometry-optimized NaSbO7 structure.

Geometry as CIF:
```
data_NaSbO7
_cell_length_a 6.8738
_cell_length_b 12.9202
_cell_length_c 6.4006
_cell_angle_alpha 90.00
_cell_angle_beta 90.00
_cell_angle_gamma 90.00
_symmetry_space_group_name_H-M 'C m c 21'
_symmetry_Int_Tables_number 36
loop_
_symmetry_equiv_pos_as_xyz
'x,y,z'
'-x,-y,z+1/2'
'-x,y,z'
'x,-y,z+1/2'
'x+1/2,y+1/2,z'
'-x+1/2,-y+1/2,z+1/2'
'-x+1/2,y+1/2,z'
'x+1/2,-y+1/2,z+1/2'
loop_
_atom_site_label
_atom_site_fract_x
_atom_site_fract_y
_atom_site_fract_z
_atom_site_occupancy
Na1 0.0000 0.2209 0.0000 1
Sb1 0.0000 0.3711 0.5844 1
O1 0.0000 0.0018 0.5530 1
O2 0.0000 0.0954 0.5172 1
O3 0.0000 0.4500 0.1983 1
O4 0.1651 0.4262 0.3324 1
O5 0.2182 0.3126 0.7121 1
```

Properties
Its raw formation energy is -3.90 eV per formula unit.

[3]
DFT (PBE-GGA) results for a geometry-optimized Rb3Tl4Bi2 structure.

Geometry as CIF:
```
data_Rb3Tl4Bi2
_cell_length_a 13.7812
_cell_length_b 5.1059
_cell_length_c 11.0280
_cell_angle_alpha 90.00
_cell_angle_beta 103.94
_cell_angle_gamma 90.00
_symmetry_space_group_name_H-M 'C 1 2/m 1'
_symmetry_Int_Tables_number 12
loop_
_symmetry_equiv_pos_as_xyz
'x,y,z'
'-x,-y,-z'
'-x,y,-z'
'x,-y,z'
'x+1/2,y+1/2,z'
'-x+1/2,-y+1/2,-z'
'-x+1/2,y+1/2,-z'
'x+1/2,-y+1/2,z'
loop_
_atom_site_label
_atom_site_fract_x
_atom_site_fract_y
_atom_site_fract_z
_atom_site_occupancy
Rb1 0.0000 0.0000 0.0000 1
Rb2 0.1866 0.5000 0.6220 1
Tl1 0.0028 0.0000 0.6564 1
Tl2 0.2364 0.0000 0.8951 1
Bi1 0.1025 0.5000 0.2610 1
```

Properties
The value obtained for the energy of formation is -176 meV per atom.

[4]
DFT (PBE-GGA) results for a geometry-optimized RbNb3Fe structure.

Geometry as CIF:
```
data_RbNb3Fe
_cell_length_a 4.8216
_cell_length_b 4.8216
_cell_length_c 4.8216
_cell_angle_alpha 90.00
_cell_angle_beta 90.00
_cell_angle_gamma 90.00
_symmetry_space_group_name_H-M 'P m -3 m'
_symmetry_Int_Tables_number 221
_symmetry_space_group_name_Hall '-P 4 2 3'
loop_
_atom_site_label
_atom_site_fract_x
_atom_site_fract_y
_atom_site_fract_z
_atom_site_occupancy
Rb1 0.0000 0.0000 0.0000 1
Nb1 0.0000 0.5000 0.5000 1
Fe1 0.5000 0.5000 0.5000 1
```

Properties
The value obtained for the energy of formation is 1248 meV per atom.

[5]
********
_The data records stop here_

The death of Jesus remains our best example. Having passed through temptations, tests, and unimaginable suffering, He dies completely entrusting Himself to the Father, whose will He fulfilled on earth. All the darkness of the world's sin was placed upon Him and weighed heavily on His heart. Here is the redemption from death's curse. Dying like Jesus (in complete trust in the Lord's grace and mercy as one does when born again) opens the door to eternal life of glorious blessing. One thief on a cross next to Jesus slipped away into the eternal darkness, welcomed there by Satan. The other thief, who had led a life of sin and knew it, opened his heart in contrition and followed Jesus into paradise.  In that moment grace knocked upon a hardened heart one last time and the answer to that knock changed the eternal destination of that soul.

When a soul comes to that moment unprepared, without faith, hope, or repentance, Satan rejoices. He has done all he can to assure the capture of that soul. He appears victorious.

But one last “YES” to the Lord  will bring the gift of paradise from Jesus, just as it did to the thief. One best definition of hell is appropriate here as we study:



God’s Devil - Points to Ponder, Part 10


God’s Devil - Points to Ponder, Part 12